Your job: find "4.680)" and "(-1.048, 2.035," in the data below, and write out these two lines and those between.
- - -
No. 1
ORCA calculation (wB97M-V/def2-TZVPD) on a structure of composition C31H54Cl4F4IN2O11P2S2.

CARTESIAN COORDINATES (ANGSTROEM)
I (1.413, -2.357, 0.137)
Cl (2.424, -2.183, 6.827)
Cl (-0.002, -0.659, 5.591)
Cl (0.387, -3.574, 2.447)
Cl (1.318, 4.258, 4.900)
S (-2.301, 1.403, 0.941)
S (-1.286, -0.479, -0.885)
P (5.628, 4.381, -4.227)
P (-6.387, -4.316, -0.869)
F (-5.323, 2.286, 2.243)
F (-5.827, -0.270, 4.661)
F (-6.387, 0.187, 1.448)
F (5.505, 1.104, 2.241)
O (-5.297, -5.555, -1.096)
O (-5.346, -3.188, -0.888)
O (6.083, 2.802, -4.494)
O (-0.952, -1.488, 3.031)
O (6.743, 4.781, -5.470)
O (-6.508, -4.431, 0.777)
O (-7.595, -5.533, -0.948)
O (4.694, 4.077, -3.048)
O (4.448, 4.467, -5.384)
O (4.325, 1.627, 4.111)
O (3.539, -0.515, 0.854)
N (3.634, -0.438, 3.133)
N (0.416, 0.405, 1.328)
C (-8.781, -3.691, 1.220)
C (8.782, 4.260, -4.208)
C (-3.192, -1.211, 2.105)
C (-4.062, -5.303, -1.757)
C (-8.278, -5.626, -2.202)
C (3.034, -3.319, 4.207)
C (1.285, 1.739, 3.524)
C (-1.029, -0.013, 0.933)
C (4.448, 0.786, 3.177)
C (6.043, 1.859, -3.429)
C (-5.572, 0.889, 2.407)
C (-7.299, -3.466, 1.457)
C (4.721, 1.108, -3.418)
C (-2.966, -4.989, -0.752)
C (8.002, 5.284, -5.013)
C (2.155, 2.237, 0.384)
C (2.805, -0.572, 1.906)
C (1.639, 3.793, 0.323)
C (3.682, 5.661, -5.468)
C (0.979, 1.158, 0.163)
C (0.484, 2.605, 4.680)
C (-1.594, -1.266, 1.759)
C (0.161, 1.397, 2.450)
C (4.493, 6.804, -6.051)
C (0.996, -1.687, 4.397)
C (2.068, -2.366, 5.029)
C (0.501, -1.743, 2.896)
C (-7.355, -6.024, -3.340)
C (1.220, -0.818, 1.769)
C (-5.040, 0.095, 3.509)
C (-3.525, -0.464, 3.490)
H (2.859, 2.191, -0.544)
H (6.232, 2.351, -2.470)
H (3.287, 5.924, -4.482)
H (4.965, 6.508, -6.991)
H (-6.630, -5.230, -3.553)
H (0.818, 3.898, -0.493)
H (0.558, 2.091, 5.708)
H (-6.784, -6.920, -3.086)
H (-2.078, -4.604, -1.259)
H (1.754, 0.896, 4.116)
H (-3.795, -6.204, -2.317)
H (4.612, 0.535, -2.493)
H (-7.083, -3.568, 2.524)
H (-2.685, -5.895, -0.206)
H (2.831, 5.451, -6.122)
H (-2.785, 0.417, 3.668)
H (4.338, -1.211, 3.057)
H (5.294, 7.102, -5.367)
H (-3.286, -4.264, -0.001)
H (9.785, 4.625, -3.983)
H (-0.038, 2.463, 2.031)
H (7.833, 6.191, -4.426)
H (8.282, 4.046, -3.256)
H (3.859, 7.675, -6.232)
H (-0.703, 1.058, 3.153)
H (2.854, 2.058, 1.264)
H (2.524, 4.476, 0.040)
H (8.576, 5.565, -5.900)
H (-8.765, -4.670, -2.416)
H (-3.450, -2.330, 2.302)
H (-3.369, -1.166, 4.395)
H (-7.004, -2.456, 1.153)
H (-9.061, -6.380, -2.086)
H (2.111, 2.461, 3.210)
H (3.863, 1.774, -3.524)
H (1.373, 0.490, -0.701)
H (-3.843, -0.920, 1.215)
H (-9.379, -3.028, 1.849)
H (-7.923, -6.210, -4.253)
H (-9.056, -4.727, 1.435)
H (2.695, -4.423, 4.316)
H (4.149, -3.253, 4.525)
H (-0.592, 2.848, 4.368)
H (-4.172, -4.501, -2.492)
H (-1.285, 0.700, -1.641)
H (8.859, 3.314, -4.749)
H (-1.543, -2.179, 1.036)
H (0.197, 1.840, -0.365)
H (1.187, 4.115, 1.340)
H (6.862, 1.151, -3.582)
H (4.677, 0.411, -4.261)
H (-2.064, 2.142, -0.223)
H (-9.042, -3.497, 0.176)
H (3.029, -3.037, 3.084)

Calculated values
Charge: +1
Lowest unoccupied orbital energy (eV): -4.53
DFT total energy (hartree): -6166.92355
Largest force on an atom (eV Å⁻¹): 9.5

---

No. 2
ORCA calculation (wB97M-V/def2-TZVPD) on a structure of composition C31H54ClPTb.

CARTESIAN COORDINATES (ANGSTROEM)
Tb (3.269, 0.764, 1.312)
Cl (2.447, 2.957, 0.577)
P (-0.330, 0.321, -2.311)
C (-0.861, -0.678, -3.778)
C (-0.810, -2.165, -6.368)
C (-1.474, -0.791, -6.236)
C (-0.859, 0.074, -5.124)
C (-1.529, -2.140, 1.871)
C (-0.870, 4.452, -3.177)
C (0.521, -3.112, 0.837)
C (-1.304, -1.857, -0.645)
C (3.676, 1.022, -3.420)
C (4.430, 0.092, -2.470)
C (-1.116, -0.391, -0.796)
C (2.191, 0.659, -3.534)
C (0.879, -0.029, 3.048)
C (-0.106, -2.011, -3.908)
C (-0.690, -2.892, -5.022)
C (0.142, -1.454, 4.887)
C (-2.266, -2.136, 0.532)
C (0.328, -0.016, 4.387)
C (-0.564, -3.323, 1.920)
C (-2.553, 2.049, -2.692)
C (2.266, -0.334, -1.186)
C (1.293, 0.721, 5.319)
C (0.051, -2.618, -0.438)
C (-2.385, 4.499, -3.403)
C (3.740, 0.092, -1.090)
C (-1.048, 2.035, -2.367)
- - -
C (0.484, 2.605, 4.680)
C (-1.594, -1.266, 1.759)
C (0.161, 1.397, 2.450)
C (4.493, 6.804, -6.051)
C (0.996, -1.687, 4.397)
C (2.068, -2.366, 5.029)
C (0.501, -1.743, 2.896)
C (-7.355, -6.024, -3.340)
C (1.220, -0.818, 1.769)
C (-5.040, 0.095, 3.509)
C (-3.525, -0.464, 3.490)
H (2.859, 2.191, -0.544)
H (6.232, 2.351, -2.470)
H (3.287, 5.924, -4.482)
H (4.965, 6.508, -6.991)
H (-6.630, -5.230, -3.553)
H (0.818, 3.898, -0.493)
H (0.558, 2.091, 5.708)
H (-6.784, -6.920, -3.086)
H (-2.078, -4.604, -1.259)
H (1.754, 0.896, 4.116)
H (-3.795, -6.204, -2.317)
H (4.612, 0.535, -2.493)
H (-7.083, -3.568, 2.524)
H (-2.685, -5.895, -0.206)
H (2.831, 5.451, -6.122)
H (-2.785, 0.417, 3.668)
H (4.338, -1.211, 3.057)
H (5.294, 7.102, -5.367)
H (-3.286, -4.264, -0.001)
H (9.785, 4.625, -3.983)
H (-0.038, 2.463, 2.031)
H (7.833, 6.191, -4.426)
H (8.282, 4.046, -3.256)
H (3.859, 7.675, -6.232)
H (-0.703, 1.058, 3.153)
H (2.854, 2.058, 1.264)
H (2.524, 4.476, 0.040)
H (8.576, 5.565, -5.900)
H (-8.765, -4.670, -2.416)
H (-3.450, -2.330, 2.302)
H (-3.369, -1.166, 4.395)
H (-7.004, -2.456, 1.153)
H (-9.061, -6.380, -2.086)
H (2.111, 2.461, 3.210)
H (3.863, 1.774, -3.524)
H (1.373, 0.490, -0.701)
H (-3.843, -0.920, 1.215)
H (-9.379, -3.028, 1.849)
H (-7.923, -6.210, -4.253)
H (-9.056, -4.727, 1.435)
H (2.695, -4.423, 4.316)
H (4.149, -3.253, 4.525)
H (-0.592, 2.848, 4.368)
H (-4.172, -4.501, -2.492)
H (-1.285, 0.700, -1.641)
H (8.859, 3.314, -4.749)
H (-1.543, -2.179, 1.036)
H (0.197, 1.840, -0.365)
H (1.187, 4.115, 1.340)
H (6.862, 1.151, -3.582)
H (4.677, 0.411, -4.261)
H (-2.064, 2.142, -0.223)
H (-9.042, -3.497, 0.176)
H (3.029, -3.037, 3.084)

Calculated values
Charge: +1
Lowest unoccupied orbital energy (eV): -4.53
DFT total energy (hartree): -6166.92355
Largest force on an atom (eV Å⁻¹): 9.5

---

No. 2
ORCA calculation (wB97M-V/def2-TZVPD) on a structure of composition C31H54ClPTb.

CARTESIAN COORDINATES (ANGSTROEM)
Tb (3.269, 0.764, 1.312)
Cl (2.447, 2.957, 0.577)
P (-0.330, 0.321, -2.311)
C (-0.861, -0.678, -3.778)
C (-0.810, -2.165, -6.368)
C (-1.474, -0.791, -6.236)
C (-0.859, 0.074, -5.124)
C (-1.529, -2.140, 1.871)
C (-0.870, 4.452, -3.177)
C (0.521, -3.112, 0.837)
C (-1.304, -1.857, -0.645)
C (3.676, 1.022, -3.420)
C (4.430, 0.092, -2.470)
C (-1.116, -0.391, -0.796)
C (2.191, 0.659, -3.534)
C (0.879, -0.029, 3.048)
C (-0.106, -2.011, -3.908)
C (-0.690, -2.892, -5.022)
C (0.142, -1.454, 4.887)
C (-2.266, -2.136, 0.532)
C (0.328, -0.016, 4.387)
C (-0.564, -3.323, 1.920)
C (-2.553, 2.049, -2.692)
C (2.266, -0.334, -1.186)
C (1.293, 0.721, 5.319)
C (0.051, -2.618, -0.438)
C (-2.385, 4.499, -3.403)
C (3.740, 0.092, -1.090)
C (-1.048, 2.035, -2.367)